Thursday, February 18, 2010


If you watch television, listen to the radio, search the internet, or watch movies there is no doubt that mainstream media has had some effect on our thoughts, attitudes, behaviors, beliefs, and world view. As much as we fight to protect ourselves from such influence, at least what we are aware of, it is inevitable that an overlap will happen. If there is one area that has been dramatically impacted through this overlap would be the overall view and foundation of the ideology of LOVE. Love means many different things and to most has multiple interpretations. The Bible, however, is very clear on what love is, based on the perfect theology of love which was demonstrated from originator of love, God, through His son Jesus Christ.

If you study scripture, loving like Christ always refers to a love that requires sacrifices. 1 John 4:10 says “This is real love, not that we loved God, but that He loved us and sent His Son as a sacrifice to take away our sins”. Real love, in essence, is not loving someone who already loved you but loving through sacrifice without condition. In fact scripture explains that only loving those who love you has no reward and is no different from the love that comes from a sinner. This type of love is so essential to the daily life of a believer that the removal of it, as we see in 1 Corinthians 13, turns the tongues of angels into a noisy gong, the gift of prophecy into meaning nothing, the faith to move mountains into doing nothing and every act of generosity into gaining nothing. Increasing the magnitude of loving or not loving is 1 John 4:8 which says, “Anyone who does not love does not know God”. This verse is not just saying that if you do not love, you do not know God but is actually saying that if you do not love – as in the way the Christ defines love, with sacrifice and without condition - then you do not know Christ.

If we truly know Him then we will love like Him. When is the last time you have loved an enemy or prayed for an individual who persecuted you? We must not let the world’s distortion of love effect the demonstration of God’s love through us. “No one has ever seen God. But if we love each other, God lives in us, and His love is brought to full expressions in us” – 1 John 4:12. God is dependent on us loving like Him so that the world can see the full expression of His love in us.

Tuesday, February 9, 2010

Are You Stewarding The Little Things?

One of the most basic principles that we see as a constant throughout the bible is stewardship. Those who are faithful with a little will be entrusted with much more. This principle suggest that the simplest way to advance, grow, or increase in whatever area in your life that you desire to is directly dependent on stewarding what you currently have. The exciting element of this principle is that we are all given a measure to start with whether faith, favor, talent, finance or gifting we all have something to steward. No matter how big or how small the measure may initially be; the practice of stewardship results in an increase of that measure. Pretty basic, yes, but this basic principle is easily ignored and constantly overlooked. How so? If you are stagnant in your walk, finances, business, marriage, or relationship with God it most likely hinges on some element in those areas that has not been stewarded. What you steward increases and brings you into another level of growth and another level of stewardship. More importantly what you do not steward usually diminishes and in many cases is completely taken away.

(Molecular data, as found in the file)
┌──
# 1
ORCA calculation (ωB97M-V with the def2-TZVPD basis set) on 9 unconnected molecules or ions with the total composition C36H52N2O14.

Results
Total energy ... -69819.91925 eV
SMILES string ... c1cc[nH]c1.c1cc[nH]c1.O=C1CCCO1.O=C1CCCO1.O=C1CCCO1.O=C1CCCO1.O=C1CCCO1.O=C1CCCO1.O=C1CCCO1
HOMO level ... -0.292 hartree
Kohn-Sham gap ... 0.3117 Eh
Relative energy (zero: lowest compared OMol25 entry of this formula, charge and spin) ... 33.56 kcal/mol

Last columns: bonded neighbours and bond lengths (Å).
Positions of all 104 atoms, in Å:
1 N 0.04 -0.35 4.90  C2 1.350, C5 1.408, H6 1.046
2 C 1.31 -0.81 4.86  N1 1.350, C3 1.388, H7 1.074
3 C 1.84 -0.73 3.59  C2 1.388, C4 1.414, H8 1.059
4 C 0.79 -0.18 2.81  C3 1.414, C5 1.360, H9 1.069
5 C -0.30 0.04 3.59  N1 1.408, C4 1.360, H10 1.066
6 H -0.57 -0.17 5.74  N1 1.046
7 H 1.87 -1.18 5.70  C2 1.074
8 H 2.77 -0.92 3.12  C3 1.059
9 H 0.72 0.13 1.79  C4 1.069
10 H -1.25 0.47 3.35  C5 1.066
11 N 1.80 1.12 -0.07  C12 1.414, C15 1.325, H16 0.989
12 C 1.91 -0.18 -0.62  N11 1.414, C13 1.360, H17 1.079
13 C 0.68 -0.53 -1.07  C12 1.360, C14 1.388, H18 1.110
14 C -0.22 0.48 -0.76  C13 1.388, C15 1.402, H19 1.074
15 C 0.54 1.53 -0.21  N11 1.325, C14 1.402, H20 1.108
16 H 2.54 1.69 0.26  N11 0.989
17 H 2.85 -0.69 -0.47  C12 1.079
18 H 0.41 -1.48 -1.58  C13 1.110
19 H -1.27 0.57 -0.97  C14 1.074
20 H 0.39 2.55 0.19  C15 1.108
21 O -1.91 5.09 -4.96  C22 1.222
22 C -2.28 4.11 -4.34  O21 1.222, O23 1.369, C26 1.561
23 O -2.47 2.89 -4.94  C22 1.369, C24 1.396
24 C -2.94 1.92 -4.06  O23 1.396, C25 1.510, H27 1.106, H28 1.078
25 C -2.60 2.47 -2.70  C24 1.510, C26 1.524, H29 1.073, H30 1.070
26 C -2.76 3.98 -2.86  C22 1.561, C25 1.524, H31 1.081, H32 1.074
27 H -2.47 0.96 -4.36  C24 1.106
28 H -4.02 1.86 -4.12  C24 1.078
29 H -1.60 2.27 -2.37  C25 1.073
30 H -3.29 2.07 -1.99  C25 1.070
31 H -2.20 4.49 -2.09  C26 1.081
32 H -3.76 4.33 -2.74  C26 1.074
33 O 2.04 4.42 0.61  C34 1.212
34 C 2.38 5.05 -0.37  O33 1.212, O35 1.348, C38 1.527
35 O 1.50 5.43 -1.32  C34 1.348, C36 1.445
36 C 2.25 6.20 -2.29  O35 1.445, C37 1.526, H39 1.119, H40 1.090
37 C 3.64 5.57 -2.26  C36 1.526, C38 1.561, H41 1.064, H42 1.119
38 C 3.82 5.39 -0.72  C34 1.527, C37 1.561, H43 1.112, H44 1.115
39 H 2.27 7.29 -2.03  C36 1.119
40 H 1.64 6.02 -3.17  C36 1.090
41 H 4.38 6.13 -2.79  C37 1.064
42 H 3.60 4.56 -2.73  C37 1.119
43 H 4.24 6.30 -0.23  C38 1.112
44 H 4.44 4.50 -0.47  C38 1.115
45 O -4.05 0.16 -0.56  C46 1.228
46 C -4.54 -0.32 0.45  O45 1.228, O47 1.313, C50 1.526
47 O -5.82 -0.11 0.69  C46 1.313, C48 1.453
48 C -6.20 -0.72 1.95  O47 1.453, C49 1.527, H51 1.067, H52 1.112
49 C -5.24 -1.89 2.18  C48 1.527, C50 1.526, H53 1.098, H54 1.087
50 C -4.01 -1.34 1.45  C46 1.526, C49 1.526, H55 1.044, H56 1.125
51 H -7.23 -0.97 1.99  C48 1.067
52 H -6.20 0.01 2.80  C48 1.112
53 H -5.74 -2.81 1.85  C49 1.098
54 H -5.15 -2.02 3.26  C49 1.087
55 H -3.48 -2.05 0.90  C50 1.044
56 H -3.28 -0.84 2.14  C50 1.125
57 O 4.77 -1.74 -0.41  C58 1.183
└──

Heres the bigger picture to access all that God has destined for you to possess is directly dependent on stewarding what He has already been given. And within your God given destiny and eternal purpose we know that what God has created and destined you to do is designed to have an impact on others. Our calling always results in changing or impacting lives, cities, states, and nations. So an increase in the ability, anointing, power and position to affect the lives of others is directly dependant on stewarding the lives of those that God has currently placed in your life.

This is where it gets interesting. In Matthew 25:34-45 Jesus is speaking about the Day of Judgment. In this passage a picture is painted of the righteous (those who will enter into heaven) being separated from the unrighteous (those who will be sent to eternal damnation). In this moment of judgment Jesus says to the righteous, "'Come, you who are blessed by my Father, inherit the Kingdom prepared for you. For I was hungry, and you fed me, I was thirsty, and you gave me drink. I was a stranger, and you invited me into youre your home. I was, naked and you gave me clothing, I was sick, and you cared for me. I was in prison, and you visited me. To this the righteous and unrighteous responded, Lord when did we ever see you hungry, thirsty, naked, sick, in prison, or a stranger'". The response to this question is alarming - 'I tell you the truth, what you do to you the least of my brothers or sisters you do to me'.
The foundation of the passage alone is based on the fact that what you do or don't do to the least of those among you, the needed, sick, poor, hungry, and naked, - you do to Jesus. It is amazing that what separated the righteous from the unrighteous was not sin or even salvation it was how they treated the least of those among them or in essence how they stewarded the least of those that had been placed in their life. Are you stewarding the least of those in your life ? Do you help the poor, care for the widow, care for the homeless, do you stop for the one? These are the easiest people to ignore, to overlook, to justify not helping, and to simply forget about but if we do that then our destiny on earth and in eternity will be compromised.

Wednesday, October 7, 2009

The Truth Of Christ Is More Than Just Words

I am convinced that many of us are living a Christianl life that is the product of a culture that emphasizes concept and principle above demonstration and experience.  For example you can attend a business school and earn a degree through classes that are taught by individuals who have never started a business nor achieved anything in the business arena.  What is even more facinating is that their qualification for being able to teach you is based on their ability to teach  - and attending and passing the very same classes you are now taking from them.  Western church culture is often no different.  Seminary for example, could educate you for years on the theology behind the "love of Christ" its greek and hebrew origin, the scriptual context and versus in which it exists but at the same time never introduce you into a living experience of His love - or leading you to live a life that constantly demonstrates it.

The alarming truth is that we applaud and value concept so much that we think we know something when we can recite it or explain it.  I believe that the knowledge of something stems from the truth of it, and genuine truth must lead to an experience and an experience will bring you into greater understanding of what has been made known.  Many believers stop short of a divine encounter because of thier satisfaction with good theology or doctrine. And In many cases doctrine downplays experience and faults peopel who pursue one. This concept, however, should be disqualified by a the world that has been changed by the experience of Jesus Christ not simply the knowledge of him.

Think about it. The disciples were radically transformed through the experience of Jesus not simply the words he spoke.This is why when Jesus spoke his words were either followed by a demonstration of what He was speaking about - or he spoke after a demonstration of Himself in an individual who had just encountered the living God.  We also know that the words of Jesus were spirit and life which meant that there was never a seperation between what was spoken and what was then instantly birthed into existance resulting in some sort of tangible experience.  It is in this light that I propose that transformation does not take place because I know what the bible says or that I can recite it..transformation takes place because what the bible says has been manifested in our lives in some form of personal experience.

The bottom line is that God must be encountered.  If we live and contend for this then we can not be sastified with just words about Him.  I believe that it is an absolute injustice to speak about an attribute of God, for example: His love, His healing touch, or His power but then limit the revelation of what we have spoken by how good we explain it versus what is actually demonstrated and experienced after we are done talking. 

The truth of the God we serve must be validated by a living encounter with that truth.  As believers we are called to be a walking and living encounter of God for others.

Sunday, September 20, 2009

What's Your Life Sentence?

Words, one of the most powerful resources known to mankind.  Think of what has been accomplished because of words. What a single word has started, has created, has stopped, or completed.  Words that start a revolution, "I have a dream". Words that start wars, "give me liberty or give me death". Words that change your life forever, "I do". Words of defeat, "I give up". Words of excitement, "it's a boy". Words or degradation, "your stupid". Words of transformation, "Father, forgive them".  It is absolutely amazing how something so small, something as simple as a single word such as - yes or no - can change your attitude, your thoughts, your words, your dreams, your life, and your destiny forever.

I believe that words create worlds.  Our words actually impregnate the atmosphere, creating new realities and realms that our lives eventually occupy through the agreement of what was spoken.  I am sure that everyone reading this is thinking, "yah, I know the tongue is powerful - yah, I know what I say is important" but what amazes me is how often we abuse this truth.  The question you must ask yourself is what is coming out of your mouth.  What are you saying about your day, about your life, about your wife and kids?  What are you saying about those you work with or work for?  What are you saying about your future? Or what has been said about you that you are agreeing with?  What world are you creating for yourself and for others?

Words, spoken or written, in a single sentence can actually create a life sentence.

Monday, August 31, 2009

There Is So Much More...

If there is one thing that I have become convinced of at the young age of 27 is that there is simply so much more to this amazing thing called "life". I say this not to draw any unnecessary attention to the things in life that you don't have but to the things in life that you should have.  The statistics show that only 30% of Americans actually feel that they are living, and or ,have lived a life that utilizes all of there talents and giftings while appealing to their passions and maximizing their potential. What does this mean?? That 7 out of every 10 people will suffer from a life that is defined by unsatisfaction, regret, disappointment, and overall some feeling of failure. Why?

Why are we not living the lives that we are capable of living. Sure such words as discipline and choices play a part of the process but no matter what you have or haven't done today there is always a new tomorrow.  Some of the most successful people in the world failed miserably multiple times before achieving great success or fulfillment in their lives. In fact, most progress in life is built on the premise of failure.  Think about it, when you were a baby how many times did you try to crawl before you actual could, how many times did you have to fall before you could stand, how many times did you stumble before you could walk, and how many cute sounds did your mouth form before an actual word was produced.  What's even more amazing is, that as an infant, every effort towards a new goal is never considered a failure no matter what result that effort produces.You are not disappointed at your child for not walking the first time they try but rather overwhelmed with excitement because they took their first steps.

 So if failure can produce progress then it is not fair to credit failure with an unfulfilled life.  So what truly lies behind the alarming statistic of only 30% of people being fulfilled with their life? I personally believe that this number exists because we have become a people that have lost the ability to dream.  Think about it, when you were a little kid what was the one question that was always asked??? "What do you want to be when you grow up"- and any answer was a great answer - no matter how impossible. Then when you graduated from high school that questions begins to change into, "here is what you can possibly be based on what you did or choose to do" if you go or don't go to college, have good grades, are not pregnant, have not dropped out, etc.,etc.  Then if you make it to college and through college you are now limited by what you have studied and, for the majority, the financial burden of students loans for the next 10 years of your life.  Now, that childhood question has evolved from a question geared towards your dreams and surrounded by limitless possibilities - into a confining life sentence of "here are the only things possible for you to be, now that you are grown up"And in this single statement your ability to dream is lost - because the world says that your dreams are no longer possible.

But what if you don't buy into to this process?  What if you don't want to become another statistic.  What if you actually began to dream again? What if you pursued every dream that you have? What would your life look like?  What would you do diffently every day? And what would happen if you celebrated every step and every effort towards your dreams no matter what the results were - just as an infant walking for the first time. If you dare to dream again and start pursuing those dreams today....I believe that this amazing thing called "your life" will never be the same again.